Job:
Your job: echo the lines further down from the one with "0.063 0.249" to the one with "'-x+1/2,y+1/2,z+1/2'" without additions.

File:
- - -
# 1
Below is a relaxed structure of Nd3Si6N11, with properties calculated at the PBE level.

Cell and atoms, written as CIF:
```
data_Nd3Si6N11
_chemical_formula_sum 'Nd6 Si12 N22'
_space_group_name_H-M_alt 'P 4 b m'
_space_group_IT_number 100
_cell_length_a 10.136
_cell_length_b 10.136
_cell_length_c 4.893
_cell_angle_alpha 90.00
_cell_angle_beta 90.00
_cell_angle_gamma 90.00
loop_
_space_group_symop_operation_xyz
'x,y,z'
'-y,x,z'
'-x,-y,z'
'y,-x,z'
'-x+1/2,y+1/2,z'
'y+1/2,x+1/2,z'
'x+1/2,-y+1/2,z'
'-y+1/2,-x+1/2,z'
loop_
_atom_site_label
_atom_site_fract_x
_atom_site_fract_y
_atom_site_fract_z
Nd1 0.000 0.000 0.000
Nd2 0.183 0.317 0.019
Si1 0.079 0.791 0.547
Si2 0.117 0.617 0.057
N1 0.000 0.500 0.085
N2 0.076 0.771 0.193
N3 0.080 0.180 0.660
N4 0.153 0.653 0.711
```

Raw total energy, eV/cell: -328.7
Crystal system: tetragonal

# 2
Below is a relaxed structure of Ba3Bi2PbO9, with properties calculated at the PBE level.

Cell and atoms, written as CIF:
```
data_Ba3Bi2PbO9
_chemical_formula_sum 'Ba12 Bi8 Pb4 O36'
_space_group_name_H-M_alt 'C 1 2/m 1'
_space_group_IT_number 12
_cell_length_a 10.751
_cell_length_b 6.193
_cell_length_c 15.242
_cell_angle_alpha 90.00
_cell_angle_beta 90.45
_cell_angle_gamma 90.00
loop_
_space_group_symop_operation_xyz
'x,y,z'
'-x,-y,-z'
'-x,y,-z'
'x,-y,z'
'x+1/2,y+1/2,z'
'-x+1/2,-y+1/2,-z'
'-x+1/2,y+1/2,-z'
'x+1/2,-y+1/2,z'
loop_
_atom_site_label
_atom_site_fract_x
_atom_site_fract_y
_atom_site_fract_z
Ba1 0.000 0.000 0.249
Ba2 0.166 0.500 0.083
Ba3 0.167 0.500 0.584
Bi1 0.000 0.000 0.000
Bi2 0.000 0.000 0.500
Bi3 0.167 0.500 0.333
Pb1 0.167 0.500 0.834
O1 0.018 0.500 0.731
O2 0.063 0.249 0.907
O3 0.104 0.251 0.426
O4 0.149 0.000 0.603
O5 0.185 0.000 0.064
O6 0.230 0.250 0.240
```

Raw total energy, eV/cell: -354.1
Total moment, Bohr magnetons per cell: 0.00
Crystal system: monoclinic

# 3
Below is a relaxed structure of HgSeO3, with properties calculated at the PBE level.

Cell and atoms, written as CIF:
```
data_HgSeO3
_chemical_formula_sum 'Hg4 Se4 O12'
_space_group_name_H-M_alt 'P 1 21/c 1'
_space_group_IT_number 14
_cell_length_a 4.632
_cell_length_b 10.377
_cell_length_c 7.499
_cell_angle_alpha 90.00
_cell_angle_beta 103.02
_cell_angle_gamma 90.00
loop_
_space_group_symop_operation_xyz
'x,y,z'
'-x,-y,-z'
'-x,y+1/2,-z+1/2'
'x,-y+1/2,z+1/2'
loop_
_atom_site_label
_atom_site_fract_x
_atom_site_fract_y
_atom_site_fract_z
Hg1 0.107 0.168 0.402
Se1 0.327 0.582 0.677
O1 0.009 0.645 0.528
O2 0.174 0.528 0.861
O3 0.494 0.718 0.774
```

Raw total energy, eV/cell: -87.3
Crystal system: monoclinic

# 4
Below is a relaxed structure of YCrFe11, with properties calculated at the PBE level.

Cell and atoms, written as CIF:
```
data_YCrFe11
_chemical_formula_sum 'Y2 Cr2 Fe22'
_space_group_name_H-M_alt 'I m m 2'
_space_group_IT_number 44
_cell_length_a 4.667
_cell_length_b 8.400
_cell_length_c 8.513
_cell_angle_alpha 90.00
_cell_angle_beta 90.00
_cell_angle_gamma 90.00
loop_
_space_group_symop_operation_xyz
'x,y,z'
'-x,-y,z'
'-x,y,z'
'x,-y,z'
'x+1/2,y+1/2,z+1/2'
'-x+1/2,-y+1/2,z+1/2'
'-x+1/2,y+1/2,z+1/2'
'x+1/2,-y+1/2,z+1/2'
loop_
_atom_site_label
_atom_site_fract_x
_atom_site_fract_y
_atom_site_fract_z
Y1 0.000 0.000 0.000
Cr1 0.000 0.000 0.372
Fe1 0.000 0.000 0.640
Fe2 0.000 0.275 0.507
Fe3 0.000 0.359 0.008
Fe4 0.000 0.500 0.277
Fe5 0.000 0.500 0.736
Fe6 0.250 0.248 0.256
```

Raw total energy, eV/cell: -219.0
Total moment, Bohr magnetons per cell: 40.47
Crystal system: orthorhombic

# 5
Below is a relaxed structure of Rb5Dy3I12, with properties calculated at the PBE level.

Cell and atoms, written as CIF:
```
data_Rb5Dy3I12
_chemical_formula_sum 'Rb5 Dy3 I12'
_space_group_name_H-M_alt 'P -6 2 m'
_space_group_IT_number 189
_space_group_name_Hall 'P -6 -2'
_cell_length_a 15.2645
_cell_length_b 15.2645
_cell_length_c 4.5828
_cell_angle_alpha 90.00
_cell_angle_beta 90.00
_cell_angle_gamma 120.00
loop_
_atom_site_label
_atom_site_fract_x
_atom_site_fract_y
_atom_site_fract_z
Rb1 0.0000 0.7176 0.0000
- - -

Here it is:
O2 0.063 0.249 0.907
O3 0.104 0.251 0.426
O4 0.149 0.000 0.603
O5 0.185 0.000 0.064
O6 0.230 0.250 0.240
```

Raw total energy, eV/cell: -354.1
Total moment, Bohr magnetons per cell: 0.00
Crystal system: monoclinic

# 3
Below is a relaxed structure of HgSeO3, with properties calculated at the PBE level.

Cell and atoms, written as CIF:
```
data_HgSeO3
_chemical_formula_sum 'Hg4 Se4 O12'
_space_group_name_H-M_alt 'P 1 21/c 1'
_space_group_IT_number 14
_cell_length_a 4.632
_cell_length_b 10.377
_cell_length_c 7.499
_cell_angle_alpha 90.00
_cell_angle_beta 103.02
_cell_angle_gamma 90.00
loop_
_space_group_symop_operation_xyz
'x,y,z'
'-x,-y,-z'
'-x,y+1/2,-z+1/2'
'x,-y+1/2,z+1/2'
loop_
_atom_site_label
_atom_site_fract_x
_atom_site_fract_y
_atom_site_fract_z
Hg1 0.107 0.168 0.402
Se1 0.327 0.582 0.677
O1 0.009 0.645 0.528
O2 0.174 0.528 0.861
O3 0.494 0.718 0.774
```

Raw total energy, eV/cell: -87.3
Crystal system: monoclinic

# 4
Below is a relaxed structure of YCrFe11, with properties calculated at the PBE level.

Cell and atoms, written as CIF:
```
data_YCrFe11
_chemical_formula_sum 'Y2 Cr2 Fe22'
_space_group_name_H-M_alt 'I m m 2'
_space_group_IT_number 44
_cell_length_a 4.667
_cell_length_b 8.400
_cell_length_c 8.513
_cell_angle_alpha 90.00
_cell_angle_beta 90.00
_cell_angle_gamma 90.00
loop_
_space_group_symop_operation_xyz
'x,y,z'
'-x,-y,z'
'-x,y,z'
'x,-y,z'
'x+1/2,y+1/2,z+1/2'
'-x+1/2,-y+1/2,z+1/2'
'-x+1/2,y+1/2,z+1/2'